Between the Wars Unit Syllabus W

Between the Wars
Oct./Nov. 2015
World Hist. II
Mr. Aiello
Between the Wars
Unit Syllabus
World History II
Overview of Curriculum/Thematic introduction to the course
Enduring understandings for all 8 units
United States
EU #1
The United States gradually has become a global power.
EU #2
Technological changes, demographic changes, and the changing role of government
have shaped American society.
World History
EU #3
The principle of self-determination has shaped world history.
EU #4
Increasing global interconnectedness has produced conflict and cooperation.
Essential Questions:
1. What were the long-term effects of World War I?
2. How did traditional and modern values clash in the 1920s?
3. What was the impact of the 1920s consumer economy on American society?
4. What were the causes and effects of the Great Depression in the United States?
5. How did the Great Depression change the role of government in various countries?
Oct. 19
Read A.H. Chapter 15, section 1.
Oct. 20
Read A.H. Chapter 15: 2 & 3.
Oct. 21
Read the Scopes Trial handout.
Oct. 22
Read A.H. Chapter 16: 2
Oct. 23
Complete the Chapters 15 & 16 Reteaching activities.
Read pages 6 – 9 of “Pt. II: The Troubled Infancy of the Weimar
Republic” and answer questions 1 – 3.
Oct. 26
Read pages 9 - 11 of “Pt. II: The Troubled Infancy of the Weimar
Republic” and answer questions 4 - 7.
Oct. 27
Read A.H. Chapter 17: 1.
Oct. 28
Read A.H. Chapter 17: 2.
Between the Wars
Oct./Nov. 2015
World Hist. II
Mr. Aiello
Oct. 29
Complete the packet entitled “What Should Be Done to Cure the
Oct. 30
Happy Halloween!!!
Complete Essential Questions 1, 2 & 3!! Get your binder in order for a
binder check on Monday!!
Nov. 2
Read and prepare for the Debate on Thursday.
Nov. 3
Read A.H. Ch. 17: 3.
Nov. 4
Read A.H. Ch. 18: 1.
Nov. 5
Read and complete the questions for “NSDAP and Totalitarian Rule.”
Nov. 6
Read A.H. Ch. 18: 2.
Nov. 9
Read A.H. Ch. 18: 3.
Nov. 10
Read A.H. Ch. 18: 4.
Nov. 11
Complete the Chapters 17 & 18 Reteaching activities.
Nov. 12
Complete Essential Questions 4 & 5!! Get your binder in order for the
binder check. Study for the Test tomorrow!!
• Attached: records of crystals:
┌──
Calculated powder X-ray diffraction pattern of LiPr3Al2 for Cu Kα (λ = 1.5418 Å), from a crystal structure in Alexandria, relaxed with PBE.

Cell and atoms:
```
data_LiPr3Al2
_symmetry_space_group_name_H-M 'P -3 m 1'
_symmetry_Int_Tables_number 164
_symmetry_space_group_name_Hall '-P 3 2"'
_cell_length_a 5.3352
_cell_length_b 5.3352
_cell_length_c 13.0840
_cell_angle_alpha 90.00
_cell_angle_beta 90.00
_cell_angle_gamma 120.00
loop_
_atom_site_label
_atom_site_type_symbol
_atom_site_fract_x
_atom_site_fract_y
_atom_site_fract_z
Li1 Li 0.3333 0.6667 0.1702
Pr1 Pr 0.0000 0.0000 0.2545
Pr2 Pr 0.3333 0.6667 0.4193
Pr3 Pr 0.3333 0.6667 0.9161
Al1 Al 0.0000 0.0000 0.0000
Al2 Al 0.0000 0.0000 0.5000
Al3 Al 0.3333 0.6667 0.6727
```

The 12 most intense peaks (10 to 90 degrees two-theta), in order of rising 2θ:
Position (°2θ), intensity
20.38, 0.8
23.57, 70.0
33.58, 100.0
41.44, 21.4
48.23, 17.9
54.36, 29.0
60.05, 37.0
70.59, 11.4
75.59, 13.5
80.48, 15.8
85.30, 8.1
89.99, 1.0


Calculated powder X-ray diffraction pattern of Li5Cd6In2 for Cu Kα (λ = 1.5418 Å), from a crystal structure in Alexandria, relaxed with PBE.

Cell and atoms:
```
data_Li5Cd6In2
_symmetry_space_group_name_H-M 'P b a m'
_symmetry_Int_Tables_number 55
_symmetry_space_group_name_Hall '-P 2 2ab'
_cell_length_a 9.6997
_cell_length_b 17.0302
_cell_length_c 3.2238
_cell_angle_alpha 90.00
_cell_angle_beta 90.00
_cell_angle_gamma 90.00
loop_
_atom_site_label
_atom_site_type_symbol
_atom_site_fract_x
_atom_site_fract_y
_atom_site_fract_z
Li1 Li 0.0000 0.0000 0.0000
Li2 Li 0.0897 0.2698 0.0000
Li3 Li 0.1925 0.5526 0.0000
Cd1 Cd 0.0610 0.4196 0.5000
Cd2 Cd 0.0800 0.1269 0.5000
Cd3 Cd 0.1858 0.8754 0.0000
In1 In 0.1589 0.7133 0.5000
```

The 12 most intense peaks (10 to 90 degrees two-theta), in order of rising 2θ:
Position (°2θ), intensity
20.86, 48.6
22.81, 25.6
24.14, 44.1
27.69, 34.7
31.06, 49.3
33.37, 22.5
37.04, 100.0
37.46, 49.0
38.14, 39.1
38.39, 24.0
39.69, 40.0
47.76, 21.0


Calculated powder X-ray diffraction pattern of Li2ThZn9 for Cu Kα (λ = 1.5418 Å), from a crystal structure in Alexandria, relaxed with PBE.

Cell and atoms:
```
data_Li2ThZn9
_symmetry_space_group_name_H-M 'R -3 m'
_symmetry_Int_Tables_number 166
_symmetry_space_group_name_Hall '-R 3 2"'
_cell_length_a 5.3328
_cell_length_b 5.3328
_cell_length_c 25.0854
_cell_angle_alpha 90.00
_cell_angle_beta 90.00
_cell_angle_gamma 120.00
loop_
_atom_site_label
_atom_site_type_symbol
_atom_site_fract_x
_atom_site_fract_y
_atom_site_fract_z
Li1 Li 0.0000 0.0000 0.1426
Th1 Th 0.0000 0.0000 0.0000
Zn1 Zn 0.0000 0.0000 0.3345
Zn2 Zn 0.0000 0.0000 0.5000
Zn3 Zn 0.0074 0.5037 0.9135
```

The 12 most intense peaks (10 to 90 degrees two-theta), in order of rising 2θ:
Position (°2θ), intensity
10.58, 75.9
23.93, 50.8
33.61, 22.1
34.58, 19.7
35.33, 35.7
39.18, 31.9
39.69, 26.8
40.11, 100.0
43.28, 28.3
64.50, 23.9
70.65, 19.7
86.60, 21.5
└──
Between the Wars
Oct./Nov. 2015
World Hist. II
Mr. Aiello
Reading Questions
Monday, Oct. 19 - A.H. Chapter 15, section 1.
1. Define nativism.
2. Why were Sacco and Vanzetti arrested?
3. Who was William J. Simmons?
4. How did the U.S. attempt to control immigration in the 1920s?
5. Describe the “New Morality”.
6. What happened in the Scopes Trial?
Tuesday, Oct. 20 – A.H. Chapter 15: 2 & 3
1. How did American artists and writers challenge traditional ideas?
2. How did the prosperity of the 1920s lead to an increase in sports?
3. What was the first “talking” picture?
4. How did the mass media do more than just entertain?
5. What was the Harlem Renaissance?
6. What was the Great Migration?
7. Who was Marcus Garvey?
Wednesday, Oct. 21 – The Scopes Trial handout
1. How did this trial symbolize the clash of the old and the new of this time period?
Thursday, Oct. 22 – A.H. Cg. 16: 2
1. Define: mass production; welfare capitalism.
2. Explain how the automobile had such a huge impact on American society in the 1920s.
3. What is a consumer society?
4. Why didn’t farmers share in the prosperity of the 1920s?
Friday, Oct. 23 – Ch. 15 & 16 Reteaching Activities, Questions 1 – 3 on The Troubled Infancy of
the Weimar Republic
Monday, Oct. 26 – Questions 4 – 7 on The Troubled Infancy of the Weimar Republic
Tuesday, Oct. 27 – A.H. Ch. 17: 1
1. Define: stock market; bull market; margin; margin call; speculation; installment
2. Why was the 1928 presidential election symbolic of the extremes of the 1920s?
3. Why did the stock market crash cause banks to fail?
Wednesday, Oct. 28 – A.H. Ch. 17: 2
1. Define: Hoovervilles; Dust Bowl
2. How did artists and other creative persons reflect the Great Depression in their work?
3. Why was the construction of the Hoover Dam so significant?
Thursday, Oct. 29 – “What Should be Done to Cure the Depression?”
Friday, Oct. 30 – Answer E.Q.s 1 – 3 and get your binder complete and organized!
Monday, Nov. 2 – Prepare for the 1932 Reichstag Elections Debate
Between the Wars
Oct./Nov. 2015
World Hist. II
Mr. Aiello
Tuesday, Nov. 3 - A.H. Ch. 17: 3
1. Define: public works; relief; foreclosure
2. Evaluate President Hoover’s efforts to stop the decline of the economy.
3. What happened to the “Bonus Army”? Why?
Wednesday, Nov. 4 - A.H. Ch. 18: 1
1. Define: gold standard
2. How did Roosevelt’s life experiences prepare him to lead the country at this troubled time?
Thursday, Nov. 5 – NSDAP and Totalitarian Rule
Friday, Nov. 6 - A.H. Ch. 18: 2
1. Define: Hundred Days; “fireside chats”
2. Why did FDR start his attempts at fixing the American economy with the banks and the stock
Monday, Nov. 9 - A.H. Ch. 18: 3
1. Define: deficit spending; WPA
2. Summarize the main criticisms or alternatives of the following: Huey Long; Father
Coughlin; Dr. Francis Townsend.
3. Why was the WPA such a significant New Deal program?
Tuesday, Nov. 10 - A.H. Ch. 18: 4
1. Define: Keynesian economics; broker state; safety net
2. Explain the relationship of the Supreme Court to FDR and the New Deal.
3. What groups made up the New Deal Coalition?
4. How did the New Deal change attitudes toward government?
Wednesday, Nov. 11 – Chapters 17 & 18 Reteaching Activities
Thursday, Nov. 12 – Essential Questions 4 & 5, Binder